"Contemporary Sainthood"I just listened to a very inspiring Lighthouse Catholic Media talk entitled "Contemporary Sainthood" by Mark Hart. Although he is addressing an audience of teens, the message applies to anyone aged teen and above. In the first talk (it's a double feature), Mark Hart contends that if we are constantly bitter, angry, or bored, it could be due to our lives not being in line with our call to be saints. He shares ideas regarding how to "unleash" the power to becoming a saint, as well as a profound insight from Pope Benedict XVI that I want to remember always:
"You were not designed for comfort; you were designed for greatness."
We Lose Nothing of OurselvesIn my most recent post, I reflected on ideas for increasing simplicity, appreciating beauty, and finding truth. I shared some thoughts on Jesus's call for us to give to others, without a calculation of whether or not we will get some type of return on our "investment":
"...we are called to love, help, and be kind even to those for whom it is difficult to love, help, and be kind. This can be very difficult. It requires a firm foundation in identity, a knowledge that we are loved immensely by God, maturity, humility, and the understanding that if our gift is not reciprocated or even if it is rejected, we have not lost anything of ourselves. Nothing is lost when you attempt to give genuine love to others. Love is multiplied no matter the response."
Not the Right SeasonWith having a toddler, I am not able to volunteer at my older son's elementary school during school hours. I was able to do that quite often before my younger son was born, so it doesn't bother me too much. However, when I do feel a tad bit guilty that I'm not willing to find a daytime sitter so I can help with lunch duty or room parties, I think of this helpful post from Kathryn at Team Whitaker.
"Listening Room"I absolutely love the tone of this post from Nell of Whole Parenting Family. Her idea of making it known to your child that you are listening to him or her is such a tender, yet firm approach to parenting a sensitive child. I just love the idea of a "listening room," where he knows you have heard him, and he also learns to hopefully hear you. The entire post is helpful, because it reinforces that you need to have a plan of what you will do when your child begins to melt down. For me, a plan = less yelling.
"Little Moment Parenting"Another blog post that I really appreciate is one by Bonnie Engstrom of A Knotted Life, in which she explains why she has decided to go from "Big Picture Parenting" to focusing more on the day-to-day opportunities. Very enlightening.
Skyview AppAs part of my older son's scouting activities, we visited a nearby planetarium and learned interesting tidbits about the constellations, the stars, the planets and more. With this newfound appreciation for outer space, I decided to download the free app, SkyView. It's a lot of fun to hold my phone up to the night sky and find constellations, names of stars, planets, the international space station, and information about the moon. It's a great app, and it's FREE!
Scarf Tying TutorialSome international co-workers of my husband visited the U.S. over the summer, and they brought a gift for me. I was surprised and delighted; that was really thoughtful of them! They gave me a scarf (for fashion, not warmth). Well, it has some beautiful what-I-would-call fall colors, so I decided to give it a try on Sunday. I figured I could find a nice how-to guide online regarding how to wear it, and I found this video, which I really liked. Since there are only eight main examples, I didn't feel too overwhelmed, which was important to me since I'm a newbie.
Next to the piece, the page also holds data records:
- - -
# 1
## Lu2BeGa (PBE)

Data for an optimized crystal structure of Lu2BeGa.

Cell and atoms, written as CIF:
```
data_Lu2BeGa
_chemical_formula_sum 'Lu8 Be4 Ga4'
_space_group_name_H-M_alt 'F m -3 m'
_space_group_IT_number 225
_space_group_name_Hall '-F 4 2 3'
_cell_length_a 6.825
_cell_length_b 6.825
_cell_length_c 6.825
_cell_angle_alpha 90.00
_cell_angle_beta 90.00
_cell_angle_gamma 90.00
loop_
_atom_site_label
_atom_site_type_symbol
_atom_site_fract_x
_atom_site_fract_y
_atom_site_fract_z
Lu1 Lu 0.250 0.250 0.250
Be1 Be 0.000 0.000 0.000
Ga1 Ga 0.000 0.000 0.500
```

D(E_F) ... 11.735 states/eV/cell
Density ... 8.96 g/cm³
Calculated total energy ... -67.214 eV/cell
Energy relative to the elements ... -0.252 eV per atom

***

# 2
## Lu2BeGa (PBE)

Data for an optimized crystal structure of Lu2BeGa.

Cell and atoms, written as CIF:
```
data_Lu2BeGa
_chemical_formula_sum 'Lu6 Be3 Ga3'
_space_group_name_H-M_alt 'R -3 m'
_space_group_IT_number 166
_space_group_name_Hall '-R 3 2"'
_cell_length_a 3.3280
_cell_length_b 3.3280
_cell_length_c 30.3144
_cell_angle_alpha 90.00
_cell_angle_beta 90.00
_cell_angle_gamma 120.00
loop_
_atom_site_label
_atom_site_type_symbol
_atom_site_fract_x
_atom_site_fract_y
_atom_site_fract_z
Lu1 Lu 0.0000 0.0000 0.0938
Be1 Be 0.0000 0.0000 0.0000
Ga1 Ga 0.0000 0.0000 0.5000
```

D(E_F) ... 8.492 states/eV/cell
Density ... 7.34 g/cm³
Calculated total energy ... -41.709 eV/cell
Energy relative to the elements ... 0.473 eV per atom

***

# 3
## Lu2BeGa (PBE)

Data for an optimized crystal structure of Lu2BeGa.

Cell and atoms, written as CIF:
```
data_Lu2BeGa
_chemical_formula_sum 'Lu2 Be1 Ga1'
_space_group_name_H-M_alt 'P 4/m m m'
_space_group_IT_number 123
_space_group_name_Hall '-P 4 2'
_cell_length_a 3.399
_cell_length_b 3.399
_cell_length_c 6.848
_cell_angle_alpha 90.00
_cell_angle_beta 90.00
_cell_angle_gamma 90.00
loop_
_atom_site_label
_atom_site_type_symbol
_atom_site_fract_x
_atom_site_fract_y
_atom_site_fract_z
Lu1 Lu 0.000 0.000 0.235
Be1 Be 0.500 0.500 0.000
Ga1 Ga 0.500 0.500 0.500
```

D(E_F) ... 2.136 states/eV/cell
Density ... 9.00 g/cm³
Calculated total energy ... -16.864 eV/cell
Energy relative to the elements ... -0.267 eV per atom

***

# 4
## NdLuBeGa (PBE)

Data for an optimized crystal structure of NdLuBeGa.

Cell and atoms, written as CIF:
```
data_NdLuBeGa
_chemical_formula_sum 'Nd4 Lu4 Be4 Ga4'
_space_group_name_H-M_alt 'F -4 3 m'
_space_group_IT_number 216
_space_group_name_Hall 'F -4 2 3'
_cell_length_a 7.050
_cell_length_b 7.050
_cell_length_c 7.050
_cell_angle_alpha 90.00
_cell_angle_beta 90.00
_cell_angle_gamma 90.00
loop_
_atom_site_label
_atom_site_type_symbol
_atom_site_fract_x
_atom_site_fract_y
_atom_site_fract_z
Nd1 Nd 0.000 0.000 0.000
Lu1 Lu 0.000 0.000 0.500
Be1 Be 0.250 0.250 0.250
Ga1 Ga 0.250 0.250 0.750
```

D(E_F) ... 12.949 states/eV/cell
Density ... 7.54 g/cm³
Calculated total energy ... -67.236 eV/cell
Energy relative to the elements ... -0.192 eV per atom

***

# 5
- - -

Thanks for hosting, Jen! For more Quick Takes, go to ConversionDiary.com!
What a great quote by Pope Benedict XVI! "You were not designed for comfort you were designed for greatness." I used a lot of Mark Hart videos when I used to teach high school but I haven't seen this one thanks for sharing :)
ReplyDeleteYou're welcome, Elise!
DeleteWhen my first two were young, I remember the inability to volunteer at the elementary school..unless my hubby happened to have the day off.Yet, when my oldest began religious education I could volunteer again..this time as a catechist. It has been a beautiful journey of sharing the faith with not only my kids but so many others! :) With your passion for the faith, have you considered this?
ReplyDeleteElizabeth - thank you for your comment. It's funny you should ask about being a catechist. I have felt called to teach RE before, but it's never seemed to be the right "season". Thank you for bringing that opportunity to my attention again. :-)
DeleteYou are so kind to have linked to that post of mine. I hope it can help--we had so many challenges with our first that now I think that must have been grace working on me to be better now that our daughter is in full force 2.5 :)
ReplyDeleteThank you for your comment, Nell. Your post helped me, and I'm sure it has helped many others!